Now copy the lines underneath up to the one that holds "-1.64", that line included.
~~~
The following is a DFT calculation (ωB97M-V/def2-TZVPD) of C27H51NO8P2Pt as an isolated structure.

Its strongest force on any atom is 1.00 eV/Å. As for the spin multiplicity: 3. Its HOMO-LUMO gap (spin up / spin down) is 7.426 / 6.929 eV. Its energy is -68525.936 eV. As for the expectation value of S²: 2.02. The value obtained for the LUMO energy (spin up / spin down) is 0.526 / -0.207 eV. As for the charge: 0. The HOMO energy (spin up / spin down) comes out at -6.90 / -7.14 eV.

XYZ file:
```
90
C27H51NO8P2Pt, DFT ωB97M-V/def2-TZVPD
Pt -0.55 -0.03 -1.42
C 1.96 -3.97 4.04
C 2.60 -4.34 2.72
C 4.05 -3.91 2.64
O 1.77 -3.86 1.63
P 1.71 -2.48 0.84
O 0.56 -2.47 -0.07
C 1.71 -1.18 2.08
P 1.22 0.45 1.52
O -0.09 0.53 0.85
O 1.26 1.35 2.83
C 0.03 1.82 3.44
C -0.69 0.68 4.14
C 0.43 2.93 4.38
O 2.47 0.87 0.68
C 2.84 2.23 0.25
C 1.63 3.12 0.01
C 3.82 2.80 1.26
O 3.12 -2.24 0.17
C 3.38 -2.78 -1.17
C 4.83 -3.20 -1.19
C 3.05 -1.70 -2.19
H 2.40 -4.57 4.84
H 0.89 -4.18 4.02
H 2.12 -2.92 4.29
H 2.56 -5.42 2.60
H 4.17 -2.82 2.71
H 4.52 -4.23 1.71
H 4.59 -4.36 3.47
H 2.70 -1.09 2.52
H 0.98 -1.47 2.84
H -0.61 2.21 2.65
H -0.03 0.21 4.87
H -1.02 -0.07 3.42
H -1.58 1.06 4.65
H 1.09 2.54 5.16
H -0.45 3.36 4.85
H 0.96 3.72 3.85
H 3.34 2.06 -0.69
H 1.06 3.28 0.93
H 0.98 2.70 -0.76
H 1.99 4.10 -0.34
H 3.32 2.97 2.22
H 4.22 3.74 0.89
H 4.65 2.11 1.42
H 2.73 -3.64 -1.32
H 5.47 -2.37 -0.89
H 5.10 -3.51 -2.20
H 5.02 -4.04 -0.52
H 3.68 -0.82 -2.02
H 2.01 -1.40 -2.11
H 3.23 -2.08 -3.20
C 1.56 1.38 -4.68
C 0.76 0.81 -3.54
O -0.23 0.09 -3.78
O 1.13 1.07 -2.34
H 0.91 1.99 -5.31
H 1.93 0.56 -5.29
H 2.39 1.98 -4.32
C -6.80 2.40 -1.80
C -5.36 2.27 -1.35
C -4.74 3.30 -0.65
C -3.42 3.16 -0.23
C -2.72 4.26 0.54
C -2.73 1.99 -0.53
C -3.31 0.95 -1.26
C -4.65 1.11 -1.64
N -2.53 -0.19 -1.55
C -3.08 -1.37 -2.29
C -3.52 -1.00 -3.72
C -4.20 -2.02 -1.46
C -1.97 -2.41 -2.43
H -7.23 3.34 -1.46
H -7.41 1.58 -1.40
H -6.87 2.36 -2.89
H -5.29 4.21 -0.43
H -3.40 5.08 0.76
H -1.88 4.66 -0.04
H -2.32 3.89 1.48
H -1.71 1.88 -0.17
H -5.17 0.34 -2.18
H -4.39 -0.36 -3.76
H -3.75 -1.92 -4.26
H -2.69 -0.49 -4.22
H -5.07 -1.39 -1.33
H -3.82 -2.26 -0.46
H -4.51 -2.94 -1.95
H -1.18 -2.05 -3.08
H -2.39 -3.32 -2.87
H -1.54 -2.67 -1.45
```
~~~
The following is a DFT calculation (ωB97M-V/def2-TZVPD) of C27H51NO8P2Pt as an isolated structure.

Its strongest force on any atom is 1.00 eV/Å. As for the spin multiplicity: 3. Its HOMO-LUMO gap (spin up / spin down) is 7.426 / 6.929 eV. Its energy is -68525.936 eV. As for the expectation value of S²: 2.02. The value obtained for the LUMO energy (spin up / spin down) is 0.526 / -0.207 eV. As for the charge: 0. The HOMO energy (spin up / spin down) comes out at -6.90 / -7.14 eV.

XYZ file:
```
90
C27H51NO8P2Pt, DFT ωB97M-V/def2-TZVPD
Pt -0.55 -0.03 -1.42
C 1.96 -3.97 4.04
C 2.60 -4.34 2.72
C 4.05 -3.91 2.64
O 1.77 -3.86 1.63
P 1.71 -2.48 0.84
O 0.56 -2.47 -0.07
C 1.71 -1.18 2.08
P 1.22 0.45 1.52
O -0.09 0.53 0.85
O 1.26 1.35 2.83
C 0.03 1.82 3.44
C -0.69 0.68 4.14
C 0.43 2.93 4.38
O 2.47 0.87 0.68
C 2.84 2.23 0.25
C 1.63 3.12 0.01
C 3.82 2.80 1.26
O 3.12 -2.24 0.17
C 3.38 -2.78 -1.17
C 4.83 -3.20 -1.19
C 3.05 -1.70 -2.19
H 2.40 -4.57 4.84
H 0.89 -4.18 4.02
H 2.12 -2.92 4.29
H 2.56 -5.42 2.60
H 4.17 -2.82 2.71
H 4.52 -4.23 1.71
H 4.59 -4.36 3.47
H 2.70 -1.09 2.52
H 0.98 -1.47 2.84
H -0.61 2.21 2.65
H -0.03 0.21 4.87
H -1.02 -0.07 3.42
H -1.58 1.06 4.65
H 1.09 2.54 5.16
H -0.45 3.36 4.85
H 0.96 3.72 3.85
H 3.34 2.06 -0.69
H 1.06 3.28 0.93
H 0.98 2.70 -0.76
H 1.99 4.10 -0.34
H 3.32 2.97 2.22
H 4.22 3.74 0.89
H 4.65 2.11 1.42
H 2.73 -3.64 -1.32
H 5.47 -2.37 -0.89
H 5.10 -3.51 -2.20
H 5.02 -4.04 -0.52
H 3.68 -0.82 -2.02
H 2.01 -1.40 -2.11
H 3.23 -2.08 -3.20
C 1.56 1.38 -4.68
C 0.76 0.81 -3.54
O -0.23 0.09 -3.78
O 1.13 1.07 -2.34
H 0.91 1.99 -5.31
H 1.93 0.56 -5.29
H 2.39 1.98 -4.32
C -6.80 2.40 -1.80
C -5.36 2.27 -1.35
C -4.74 3.30 -0.65
C -3.42 3.16 -0.23
C -2.72 4.26 0.54
C -2.73 1.99 -0.53
C -3.31 0.95 -1.26
C -4.65 1.11 -1.64